-- Excerpt --
<<<
[1]
DFT (ωB97M-V with the def2-TZVPD basis set) results for a cluster of 2 separate species, C6H16P2 in total at a distorted geometry.

```
24
Properties=species:S:1:pos:R:3
C 0.50 -0.56 1.87
P 0.52 -0.96 0.09
C -1.20 -1.07 -0.29
C 1.71 -1.95 -1.09
C 1.49 -1.70 -2.55
H -0.08 -1.08 2.67
H 1.57 -0.51 2.26
H 0.91 0.21 -0.57
H -1.20 -2.11 -0.55
H -1.34 -0.32 -1.06
H -1.42 -0.31 0.52
H 2.69 -1.42 -0.74
H 1.89 -3.05 -1.11
H 1.78 -0.66 -2.90
H 2.21 -2.43 -3.00
H 0.53 -2.04 -2.82
C -0.83 2.70 -0.22
P -0.12 2.33 1.16
C -1.61 2.26 2.31
H -0.27 2.98 -1.10
H -1.88 3.01 -0.32
H -1.61 1.39 2.99
H -1.83 3.21 2.95
H -2.41 2.07 1.52
```

frontier orbital gap	8.00	eV
relative energy (zero: lowest compared OMol25 entry of this formula, charge and spin)	532.9	kJ/mol
highest occupied orbital energy	-7.185	eV
SMILES	C=[P@H](C)CC.C=PC

***

[2]
DFT (ωB97M-V with the def2-TZVPD basis set) results for a cluster of 4 separate species, C24H35NO8 in total at a distorted geometry.

```
68
Properties=species:S:1:pos:R:3
C 4.33 -0.84 -0.53
N 4.32 -0.29 -1.94
C 3.69 1.10 -2.00
C 2.12 1.13 -1.46
C 1.50 2.33 -0.49
C -0.06 2.28 0.05
C -0.96 0.98 -0.43
C -0.38 -0.24 -1.42
C 1.18 -0.16 -1.94
C -1.40 -1.50 -1.81
O -1.41 -2.06 -3.03
C -2.43 -1.95 -0.57
C -2.96 -0.84 0.31
C -2.54 0.76 0.07
O -3.41 1.78 0.23
H 4.89 -1.89 -0.58
H 4.98 -0.15 0.19
H 3.24 -1.04 -0.11
H 3.78 -0.94 -2.59
H 3.74 1.42 -3.15
H 4.30 1.89 -1.39
H 2.22 3.20 -0.17
H -0.57 3.09 0.73
H 1.57 -1.04 -2.60
H -2.73 -3.06 -0.34
H -3.66 -1.15 1.21
C 2.50 2.51 4.42
C 3.60 3.11 3.56
O 3.05 3.76 2.40
C 2.59 5.03 2.37
C 2.36 5.75 3.66
O 2.30 5.56 1.30
H 1.82 3.28 4.79
H 2.92 1.98 5.27
H 1.89 1.82 3.83
H 4.24 3.79 4.12
H 4.24 2.31 3.19
H 1.32 5.61 3.97
H 2.56 6.81 3.51
H 3.03 5.43 4.47
C -0.29 -2.51 -5.73
C 0.43 -1.79 -6.86
O 1.75 -2.32 -7.05
C 2.04 -3.40 -7.82
C 0.92 -4.28 -8.28
O 3.21 -3.68 -8.07
H -0.43 -3.57 -5.97
H -1.27 -2.07 -5.55
H 0.30 -2.47 -4.81
H -0.14 -1.79 -7.79
H 0.56 -0.73 -6.57
H 0.79 -5.10 -7.56
H 1.18 -4.69 -9.26
H -0.03 -3.76 -8.41
C -4.32 -0.57 6.62
C -4.87 0.01 5.33
O -4.39 -0.73 4.19
C -4.95 -1.86 3.71
C -5.97 -2.57 4.55
O -4.59 -2.33 2.64
H -4.65 -1.60 6.77
H -4.64 0.03 7.48
H -3.22 -0.59 6.59
H -5.96 0.07 5.33
H -4.50 1.03 5.21
H -5.47 -3.34 5.14
H -6.70 -3.05 3.88
H -6.54 -1.91 5.20
```

frontier orbital gap	7.31	eV
highest occupied orbital energy	-8.546	eV
SMILES	CNCc1ccc2c(c1)C(=O)C=CC2=O.CCOC(C)=O.CCOC(C)=O.CCOC(C)=O

***

[3]
DFT (ωB97M-V with the def2-TZVPD basis set) results for a structure of composition C27H20N3O6PRu.

```
58
Properties=species:S:1:pos:R:3
Ru -0.14 -1.70 -0.97
O 5.83 0.05 2.34
N 4.92 -0.19 3.10
O 4.99 -0.15 4.31
C 3.60 -0.55 2.51
C 2.59 -0.73 3.39
C 1.28 -1.08 2.96
C 0.19 -1.28 3.83
C -1.03 -1.61 3.30
C -1.16 -1.75 1.92
N -0.16 -1.56 1.08
C 1.05 -1.22 1.59
C 2.12 -1.01 0.66
N 1.78 -1.15 -0.65
C 2.72 -1.06 -1.58
C 4.04 -0.78 -1.24
C 4.40 -0.59 0.07
C 3.42 -0.70 1.08
H 2.80 -0.61 4.45
H 0.33 -1.17 4.90
H -1.89 -1.77 3.93
H -2.11 -2.03 1.47
H 2.40 -1.20 -2.60
H 4.78 -0.72 -2.03
H 5.42 -0.36 0.32
O -0.91 -3.40 -4.65
C -0.73 -2.89 -3.61
O 0.04 -2.12 -3.01
C -2.11 -3.50 -2.26
O -2.92 -4.17 -2.78
O -1.82 -2.96 -1.18
C 0.50 1.35 -2.34
P -0.61 0.43 -1.23
C -2.24 0.84 -1.93
C -3.10 -0.14 -2.41
C -4.32 0.22 -2.98
C -4.67 1.55 -3.07
C -3.82 2.54 -2.60
C -2.60 2.18 -2.03
C -0.57 1.39 0.32
C 0.62 1.96 0.76
C 0.68 2.60 1.99
C -0.45 2.69 2.78
C -1.65 2.14 2.34
C -1.71 1.49 1.12
H 0.19 2.39 -2.42
H 0.44 0.89 -3.33
H 1.53 1.32 -2.00
H -2.84 -1.18 -2.33
H -4.98 -0.55 -3.35
H -5.62 1.83 -3.52
H -4.09 3.58 -2.67
H -1.95 2.96 -1.65
H 1.51 1.91 0.14
H 1.61 3.05 2.32
H -0.41 3.20 3.73
H -2.54 2.22 2.95
H -2.65 1.07 0.78
```

<S²>	0.754
net charge	+1
frontier orbital gap (spin up / spin down)	6.87 / 7.60	eV
2S+1	2
highest occupied orbital energy (spin up / spin down)	-11.176 / -11.915	eV

***

[4]
DFT (ωB97M-V with the def2-TZVPD basis set) results for a cluster of 2 separate species, C3H10S in total.

```
14
Properties=species:S:1:pos:R:3
S -3.63 3.94 0.40
H -4.30 2.83 -0.01
>>>
-- Wanted --
Please reproduce the whole of the entries above without altering anything.
-- Outcome --
[1]
DFT (ωB97M-V with the def2-TZVPD basis set) results for a cluster of 2 separate species, C6H16P2 in total at a distorted geometry.

```
24
Properties=species:S:1:pos:R:3
C 0.50 -0.56 1.87
P 0.52 -0.96 0.09
C -1.20 -1.07 -0.29
C 1.71 -1.95 -1.09
C 1.49 -1.70 -2.55
H -0.08 -1.08 2.67
H 1.57 -0.51 2.26
H 0.91 0.21 -0.57
H -1.20 -2.11 -0.55
H -1.34 -0.32 -1.06
H -1.42 -0.31 0.52
H 2.69 -1.42 -0.74
H 1.89 -3.05 -1.11
H 1.78 -0.66 -2.90
H 2.21 -2.43 -3.00
H 0.53 -2.04 -2.82
C -0.83 2.70 -0.22
P -0.12 2.33 1.16
C -1.61 2.26 2.31
H -0.27 2.98 -1.10
H -1.88 3.01 -0.32
H -1.61 1.39 2.99
H -1.83 3.21 2.95
H -2.41 2.07 1.52
```

frontier orbital gap	8.00	eV
relative energy (zero: lowest compared OMol25 entry of this formula, charge and spin)	532.9	kJ/mol
highest occupied orbital energy	-7.185	eV
SMILES	C=[P@H](C)CC.C=PC

***

[2]
DFT (ωB97M-V with the def2-TZVPD basis set) results for a cluster of 4 separate species, C24H35NO8 in total at a distorted geometry.

```
68
Properties=species:S:1:pos:R:3
C 4.33 -0.84 -0.53
N 4.32 -0.29 -1.94
C 3.69 1.10 -2.00
C 2.12 1.13 -1.46
C 1.50 2.33 -0.49
C -0.06 2.28 0.05
C -0.96 0.98 -0.43
C -0.38 -0.24 -1.42
C 1.18 -0.16 -1.94
C -1.40 -1.50 -1.81
O -1.41 -2.06 -3.03
C -2.43 -1.95 -0.57
C -2.96 -0.84 0.31
C -2.54 0.76 0.07
O -3.41 1.78 0.23
H 4.89 -1.89 -0.58
H 4.98 -0.15 0.19
H 3.24 -1.04 -0.11
H 3.78 -0.94 -2.59
H 3.74 1.42 -3.15
H 4.30 1.89 -1.39
H 2.22 3.20 -0.17
H -0.57 3.09 0.73
H 1.57 -1.04 -2.60
H -2.73 -3.06 -0.34
H -3.66 -1.15 1.21
C 2.50 2.51 4.42
C 3.60 3.11 3.56
O 3.05 3.76 2.40
C 2.59 5.03 2.37
C 2.36 5.75 3.66
O 2.30 5.56 1.30
H 1.82 3.28 4.79
H 2.92 1.98 5.27
H 1.89 1.82 3.83
H 4.24 3.79 4.12
H 4.24 2.31 3.19
H 1.32 5.61 3.97
H 2.56 6.81 3.51
H 3.03 5.43 4.47
C -0.29 -2.51 -5.73
C 0.43 -1.79 -6.86
O 1.75 -2.32 -7.05
C 2.04 -3.40 -7.82
C 0.92 -4.28 -8.28
O 3.21 -3.68 -8.07
H -0.43 -3.57 -5.97
H -1.27 -2.07 -5.55
H 0.30 -2.47 -4.81
H -0.14 -1.79 -7.79
H 0.56 -0.73 -6.57
H 0.79 -5.10 -7.56
H 1.18 -4.69 -9.26
H -0.03 -3.76 -8.41
C -4.32 -0.57 6.62
C -4.87 0.01 5.33
O -4.39 -0.73 4.19
C -4.95 -1.86 3.71
C -5.97 -2.57 4.55
O -4.59 -2.33 2.64
H -4.65 -1.60 6.77
H -4.64 0.03 7.48
H -3.22 -0.59 6.59
H -5.96 0.07 5.33
H -4.50 1.03 5.21
H -5.47 -3.34 5.14
H -6.70 -3.05 3.88
H -6.54 -1.91 5.20
```

frontier orbital gap	7.31	eV
highest occupied orbital energy	-8.546	eV
SMILES	CNCc1ccc2c(c1)C(=O)C=CC2=O.CCOC(C)=O.CCOC(C)=O.CCOC(C)=O

***

[3]
DFT (ωB97M-V with the def2-TZVPD basis set) results for a structure of composition C27H20N3O6PRu.

```
58
Properties=species:S:1:pos:R:3
Ru -0.14 -1.70 -0.97
O 5.83 0.05 2.34
N 4.92 -0.19 3.10
O 4.99 -0.15 4.31
C 3.60 -0.55 2.51
C 2.59 -0.73 3.39
C 1.28 -1.08 2.96
C 0.19 -1.28 3.83
C -1.03 -1.61 3.30
C -1.16 -1.75 1.92
N -0.16 -1.56 1.08
C 1.05 -1.22 1.59
C 2.12 -1.01 0.66
N 1.78 -1.15 -0.65
C 2.72 -1.06 -1.58
C 4.04 -0.78 -1.24
C 4.40 -0.59 0.07
C 3.42 -0.70 1.08
H 2.80 -0.61 4.45
H 0.33 -1.17 4.90
H -1.89 -1.77 3.93
H -2.11 -2.03 1.47
H 2.40 -1.20 -2.60
H 4.78 -0.72 -2.03
H 5.42 -0.36 0.32
O -0.91 -3.40 -4.65
C -0.73 -2.89 -3.61
O 0.04 -2.12 -3.01
C -2.11 -3.50 -2.26
O -2.92 -4.17 -2.78
O -1.82 -2.96 -1.18
C 0.50 1.35 -2.34
P -0.61 0.43 -1.23
C -2.24 0.84 -1.93
C -3.10 -0.14 -2.41
C -4.32 0.22 -2.98
C -4.67 1.55 -3.07
C -3.82 2.54 -2.60
C -2.60 2.18 -2.03
C -0.57 1.39 0.32
C 0.62 1.96 0.76
C 0.68 2.60 1.99
C -0.45 2.69 2.78
C -1.65 2.14 2.34
C -1.71 1.49 1.12
H 0.19 2.39 -2.42
H 0.44 0.89 -3.33
H 1.53 1.32 -2.00
H -2.84 -1.18 -2.33
H -4.98 -0.55 -3.35
H -5.62 1.83 -3.52
H -4.09 3.58 -2.67
H -1.95 2.96 -1.65
H 1.51 1.91 0.14
H 1.61 3.05 2.32
H -0.41 3.20 3.73
H -2.54 2.22 2.95
H -2.65 1.07 0.78
```

<S²>	0.754
net charge	+1
frontier orbital gap (spin up / spin down)	6.87 / 7.60	eV
2S+1	2
highest occupied orbital energy (spin up / spin down)	-11.176 / -11.915	eV

***

[4]
DFT (ωB97M-V with the def2-TZVPD basis set) results for a cluster of 2 separate species, C3H10S in total.

```
14
Properties=species:S:1:pos:R:3
S -3.63 3.94 0.40
H -4.30 2.83 -0.01